<<<
The following is a PBE-GGA calculation of an optimized crystal structure of ThMnAl11, from Alexandria via LeMat-Bulk.

Cell lengths 6.8412, 6.8412, 7.1316 Å; angles 97.87, 97.87, 135.11 degrees
Positions (direct):
Th  0.0000  0.0000  0.0000
Mn  0.5000  0.5000  0.5000
Al  0.0000  0.0000  0.5000
Al  0.0000  0.5000  0.0000
Al  0.0256  0.3690  0.3630
Al  0.2855  0.5007  0.7705
Al  0.3690  0.0256  0.3630
Al  0.4993  0.7145  0.2295
Al  0.5000  0.0000  0.0000
Al  0.5007  0.2855  0.7705
Al  0.6310  0.9744  0.6370
Al  0.7145  0.4993  0.2295
Al  0.9744  0.6310  0.6370

Results
* magnetization: 0.009 μB per cell
* final energy: -60.20 eV per cell
* crystal system: monoclinic
>>>

Copy every line above that contains the word "PBE-GGA".

The following is a PBE-GGA calculation of an optimized crystal structure of ThMnAl11, from Alexandria via LeMat-Bulk.